I scooped ice from the ice machine and poured it over the coffee cup. Splatters of coffee speckled my shirt. One cup after another as I kept serving them to people in church.
Tears threatened to stream down my cheek as I tucked myself back into the ice closet, I asked God if I would ever know what He wanted from me, how He would use me, and what I was supposed to do next in my life. My soul had been restless for months, anxious to move forward but not feeling the peace to step into a new area.
What I had dreamed for my life and what my life actually looked like were two different worlds. In the middle of that closet, I didn’t want a map to the next ten years, I simply wanted to be seen. Not by audiences or for the sake of attention, but by a God who loved me and would lead me forward.
I can understand the cry of Hagar’s heart and soul in Genesis 16. While Hagar and my circumstances were completely different, the cry of our hearts were the same. We want to be seen, loved and led forward. Isn’t this the heart cry of every woman?
In a world where so much is hidden, where we tuck ourselves away from others and allow people to see what we want them to see, it can be easy to think God works the same way. He doesn’t.
God sees everything.
Every sin we commit.
Every injustice done to us.
Every mistake.
Every misstep.
Every tear we cry.
While this may be a terrifying thought for some, it’s a comfort to many. The God we serve is El-Roi, the God Who Sees.
God sees the mess we make and doesn’t leave us there alone. He steps into our stories and turns our messes into messages of His grace.
God moves our hearts towards Him, even if He doesn’t change our circumstances. Hagar is called to return to her same circumstances, but when she returns she returns with the knowledge of a relationship with the God who sees her.

Friend, whatever you are doing today, whether it feels mundane and miniscule, remember God sees it.
Molecular data, as found in the file >
~~~
{
  "formula": "C5H9ClN2O",
  "method": "the ωB97M-V functional and the def2-TZVPD basis",
  "lumo_ha": [-0.0219, -0.0473],
  "total_charge": 0,
  "multiplicity": 1,
  "symbols": ["C", "C", "C", "C", "C", "N", "N", "O", "Cl", "H", "H", "H", "H", "H", "H", "H", "H", "H"],
  "xyz": [[0.54119, -1.26782, -1.07392], [0.94375, 0.17288, -1.13975], [1.50299, -1.65348, 1.31635], [-0.72574, 1.57112, 0.17454], [-2.12777, 1.70231, 0.61591], [0.79455, -1.95756, 0.11365], [-0.34250, 0.96680, -0.94065], [-0.19730, -1.79866, -1.89837], [0.44862, 2.11654, 1.26954], [1.78633, 0.40743, -0.49278], [1.30508, 0.42733, -2.07224], [1.95254, -0.65547, 1.34590], [1.88699, -2.46532, 1.96208], [-2.57760, 1.16365, -0.18824], [-2.37927, 2.68903, 0.84179], [-2.24298, 1.16538, 1.51315], [0.54064, -2.95362, -0.04393], [-1.10953, 0.36946, -1.30304]]
}

{
  "formula": "C5H9ClOSi",
  "method": "the ωB97M-V functional and the def2-TZVPD basis",
  "lumo_ha": [0.0204, 0.0204],
  "total_charge": 0,
  "smiles": "C=C/[Si](Cl)=C\\C.C=O",
  "multiplicity": 1,
  "symbols": ["C", "C", "Si", "Cl", "C", "C", "H", "H", "H", "H", "H", "H", "H", "C", "O", "H", "H"],
  "xyz": [[2.59390, -1.29567, 0.43985], [1.84252, -1.32458, 1.50823], [-0.03381, -1.40101, 1.28158], [-0.62095, -3.43258, 1.46847], [-1.16859, -0.06413, 1.04675], [-0.69853, 1.21994, 0.47488], [3.67679, -1.14654, 0.52312], [2.17266, -1.36698, -0.52033], [2.20390, -1.28228, 2.57337], [-2.29407, 0.01093, 1.21239], [-0.93933, 2.24957, 0.98638], [0.30573, 1.22893, 0.23423], [-1.22531, 1.31980, -0.46304], [-1.35467, -0.23910, -2.25475], [-1.04574, -1.15781, -1.48460], [-2.40283, -0.00855, -2.44420], [-0.51680, 0.19079, -2.91939]]
}

{
  "formula": "C5H9ClS2",
  "method": "the ωB97M-V functional and the def2-TZVPD basis",
  "lumo_ha": 0.0273,
  "total_charge": 0,
  "smiles": "C=C(Cl)C(SC)SC",
  "multiplicity": 1,
  "symbols": ["C", "C", "Cl", "C", "S", "C", "S", "C", "H", "H", "H", "H", "H", "H", "H", "H", "H"],
  "xyz": [[0.95294, -0.81961, 1.29811], [1.03126, -0.63079, -0.02289], [2.42421, -1.23176, -0.87106], [0.10819, 0.17062, -0.90552], [0.65003, 1.91057, -1.17511], [0.79669, 2.38355, 0.53374], [-1.65711, 0.15429, -0.33097], [-2.04091, -1.56380, -0.70566], [0.03569, -0.40935, 1.78268], [1.63203, -1.37262, 1.87465], [0.12035, -0.30167, -1.86541], [1.72562, 1.93335, 1.06139], [-0.13179, 2.00193, 1.04839], [0.84814, 3.49629, 0.64352], [-1.66071, -2.23199, 0.05546], [-3.12981, -1.65718, -0.70784], [-1.70484, -1.83183, -1.71347]]
}

{
  "formula": "C5H9F",
  "method": "the ωB97M-V functional and the def2-TZVPD basis",
  "lumo_ha": 0.0429,
  "total_charge": 0,
  "smiles": "C/C=C/CCF",
  "multiplicity": 1,
  "symbols": ["C", "C", "C", "C", "C", "F", "H", "H", "H", "H", "H", "H", "H", "H", "H"],
~~~
So much for the molecular data >
He sees the laundry you fold over and over.
He sees the dinners you cook.
[These calculated molecules were left in the piece by mistake]
<<<
C4H5N3 | the ωB97M-V functional and the def2-TZVPD basis

Summary:
Frontier orbital gap, eV: 9.5184
Calculated total energy, a.u.: -319.47302

Atoms and positions in Å:
C -0.1135 1.3882 -1.5327
C 0.4290 0.1847 -0.7649
C -0.3326 -1.1108 1.7831
C 0.1861 -1.4774 0.6647
N 1.6160 -0.0659 -1.3181
N 1.8893 0.8182 -2.2115
N 0.8746 1.6705 -2.3404
H -0.3185 -0.0408 1.9226
H 1.1256 2.5102 -2.8713
H -0.5915 -1.7709 2.7072
H -1.0829 1.9349 -1.2960
H 0.4001 -2.4828 0.4105

=====

Entry from OMol25: the molecule C5H12N2O (ωB97M-V/def2-TZVPD).

```
20
Properties=species:S:1:pos:R:3:lowdin_charge:R:1
C -2.695 -0.466 -0.581 -0.14
C -1.352 0.248 -0.275 -0.30
C -0.515 -0.649 0.639 -0.22
C 0.902 -0.182 1.064 -0.18
N 1.769 0.058 -0.044 -0.24
C 2.022 1.511 -0.340 -0.04
N 2.391 -0.826 -0.718 -0.07
O 2.274 -2.022 -0.357 -0.09
H -2.467 -1.444 -1.216 0.11
H -3.147 -1.077 0.274 0.08
H -3.465 0.112 -1.037 0.04
H -0.758 0.667 -1.207 0.12
H -1.698 1.226 0.239 0.12
H -1.200 -1.007 1.494 0.14
H -0.433 -1.588 0.053 0.11
H 1.353 -0.953 1.724 0.13
H 0.734 0.802 1.575 0.12
H 2.233 2.059 0.665 0.11
H 2.961 1.606 -0.967 0.09
H 1.089 1.927 -0.985 0.12
```

HOMO level in eV: -9.0
Net charge: 0
Relative energy (zero: lowest compared OMol25 entry of this formula, charge and spin) in kJ/mol: 435.4
SMILES: CCCCN(C)N=O
HOMO-LUMO gap in eV: 9.8
E_LUMO in eV: 0.826
Multiplicity: 1

=====

Entry from OMol25: a cluster of 2 separate species, C3H9FNO in total (ωB97M-V/def2-TZVPD).

```
15
Properties=species:S:1:pos:R:3:lowdin_charge:R:1
C 0.252 0.513 1.843 -0.10
C 0.256 0.109 -0.979 -0.12
C -1.052 0.264 -1.763 -0.14
N 0.731 -1.079 -1.054 0.19
O -0.685 0.281 0.839 -0.11
F -1.754 -0.917 -1.763 0.02
H -0.317 0.440 2.813 0.13
H 0.598 1.563 1.823 0.12
H 1.066 -0.043 2.000 0.04
H -0.661 0.615 -2.695 0.14
H 0.798 1.076 -0.719 0.19
H -1.596 1.141 -1.377 0.15
H -1.149 -0.576 0.744 0.14
H 1.665 -1.462 -0.824 0.18
H -0.132 -1.695 -1.285 0.18
```

HOMO level in eV: -15.5
Net charge: +1
Relative energy (zero: lowest compared OMol25 entry of this formula, charge and spin) in kJ/mol: 142.3
HOMO-LUMO gap in eV: 11.7
E_LUMO in eV: -3.786
Multiplicity: 1

=====

Entry from OMol25: a cluster of 2 separate species, C5H13N2O in total (ωB97M-V/def2-TZVPD).

```
21
Properties=species:S:1:pos:R:3:lowdin_charge:R:1
C -1.295 -1.328 -2.643 -0.07
C -0.007 -1.277 -2.253 -0.32
N 0.475 -1.341 -0.989 -0.11
C 1.854 -0.958 -0.795 -0.16
H -2.091 -1.390 -1.912 0.03
H -1.543 -1.289 -3.694 0.00
H 0.747 -1.195 -3.041 0.09
H -0.170 -1.006 -0.132 0.04
H 2.100 -1.078 0.260 0.07
H 2.533 -1.587 -1.384 0.06
H 2.057 0.089 -1.063 0.06
C 0.356 1.671 2.542 -0.19
N -0.997 1.712 2.004 -0.14
C -1.120 0.823 0.820 -0.50
O -0.780 -0.467 1.045 -0.29
H 0.699 0.653 2.767 0.06
H 0.422 2.291 3.440 0.05
H 1.041 2.098 1.801 0.06
H -1.622 1.322 2.703 0.07
H -0.491 1.306 0.038 0.09
H -2.169 0.951 0.486 0.09
```

HOMO level in eV: -3.3
Net charge: -1
Relative energy (zero: lowest compared OMol25 entry of this formula, charge and spin) in kJ/mol: 75.9
>>>
He sees the meetings you attend where you aren’t appreciated.
He sees the ways you bite your tongue to the quick remark.
He sees the tears you cry when you screw up something.
He sees the faithfulness of caring for people when you’re exhausted.
He sees the efforts and attempts.
And most importantly, God sees our hearts. He knows the motives and movings deep in our souls. He sees it all.
Hagar had the “angel of the LORD” come and bless her exactly when her heart needed refreshment and encouragement the most, and in that ice closet as I called out to God to show me that He cared, He brought me my reply as well. The very next person who ordered a coffee began to chat about his work and shared encouragement that my heart so desperately needed. Right there, doing exactly what God had called me to do behind the scenes, God whispered the same things to me that He did to Hagar. “I see you. I will bless you. Keep working where you are and trust Me with the rest.”
[Between two parts of the entry: calculated molecules]
~~~
(1)
This record from the OMol25 dataset describes 9 unconnected molecules or ions with the total composition C32H64Br2O14 at a distorted geometry. The level of theory is the ωB97M-V functional and the def2-TZVPD basis.

```
112
Properties=species:S:1:pos:R:3:mulliken_charge:R:1
C -26.05 -1.26 -12.12 -1.0569
C -25.11 -2.29 -11.51 0.2119
O -25.01 -3.36 -12.46 -0.2770
C -24.56 -4.53 -12.01 0.7626
C -24.54 -5.55 -13.13 -0.6312
O -24.28 -4.83 -10.88 -0.5669
H -25.53 -0.44 -12.61 0.3358
H -26.74 -0.90 -11.36 0.3027
H -26.71 -1.74 -12.84 0.2346
H -24.20 -1.84 -11.11 0.3609
H -25.59 -2.67 -10.60 -0.1565
H -23.84 -5.25 -13.91 0.3995
H -25.54 -5.70 -13.53 -0.0969
H -24.12 -6.47 -12.74 0.2259
C -28.98 -5.81 -1.87 -1.2458
C -28.27 -5.99 -3.22 0.4675
O -28.78 -5.06 -4.19 -0.4046
C -29.67 -5.51 -5.07 0.8005
C -30.02 -4.46 -6.09 -0.8515
O -30.07 -6.66 -5.09 -0.5192
H -29.25 -6.71 -1.34 0.3271
H -29.92 -5.27 -2.01 0.3464
H -28.42 -5.06 -1.30 0.3507
H -27.23 -5.70 -3.10 0.2678
H -28.30 -7.01 -3.60 -0.1961
H -30.82 -3.79 -5.79 0.3797
H -30.30 -4.87 -7.06 0.0488
H -29.10 -3.91 -6.28 0.2558
C -29.72 -11.82 -15.99 -1.0845
C -30.97 -11.98 -15.14 -0.2850
O -30.94 -11.02 -14.10 -0.2815
C -31.00 -11.45 -12.81 0.5266
C -30.98 -10.26 -11.88 -0.2697
O -31.03 -12.61 -12.50 -0.5660
H -29.66 -12.47 -16.86 0.3711
H -28.81 -11.90 -15.40 0.2917
H -29.78 -10.81 -16.41 0.2555
H -31.86 -11.82 -15.76 0.2878
H -31.09 -13.00 -14.76 0.3479
H -30.18 -9.61 -12.20 -0.1393
H -30.89 -10.65 -10.87 0.2950
H -31.94 -9.76 -12.02 0.1871
C -31.03 -2.39 -12.26 -1.3462
C -30.33 -3.49 -11.50 0.0751
O -30.01 -4.68 -12.20 -0.1897
C -29.02 -4.62 -13.08 0.8201
C -28.79 -5.94 -13.78 -0.9396
O -28.42 -3.61 -13.36 -0.5532
H -31.14 -1.51 -11.63 0.4150
H -32.04 -2.71 -12.55 0.3012
H -30.49 -2.12 -13.17 0.3342
H -29.51 -3.05 -10.93 -0.0016
H -31.00 -3.85 -10.71 0.3250
H -29.41 -5.91 -14.68 0.3742
H -29.14 -6.77 -13.18 0.1742
H -27.75 -6.00 -14.07 0.1524
C -32.85 -9.08 -6.34 -1.4611
C -32.16 -8.26 -7.38 0.7143
O -33.09 -7.95 -8.42 -0.3699
C -32.63 -7.36 -9.51 0.7172
C -33.73 -7.12 -10.51 -1.3025
O -31.50 -6.96 -9.63 -0.3003
H -33.80 -8.62 -6.03 0.3991
H -32.23 -9.14 -5.45 0.3352
H -33.13 -10.06 -6.73 0.3529
H -31.73 -7.33 -7.02 -0.1269
H -31.25 -8.76 -7.75 0.0501
H -34.08 -8.07 -10.91 0.3188
H -33.39 -6.44 -11.30 0.2490
H -34.58 -6.65 -10.03 0.3976
C -23.43 -8.24 -4.80 -1.2981
C -24.84 -7.80 -4.49 0.2607
O -25.11 -6.50 -5.00 -0.3745
C -25.27 -6.36 -6.32 0.5242
C -25.52 -4.94 -6.70 -0.3504
O -25.36 -7.29 -7.08 -0.3876
H -23.24 -8.47 -5.85 0.1850
H -23.19 -9.18 -4.30 0.4442
H -22.68 -7.54 -4.41 0.3202
H -25.53 -8.55 -4.88 -0.1183
H -24.98 -7.78 -3.42 0.4419
H -24.80 -4.17 -6.43 0.4831
H -26.50 -4.70 -6.27 0.0235
H -25.66 -4.86 -7.78 -0.2064
C -21.85 -8.90 -9.01 -0.9234
C -22.92 -9.83 -9.54 0.6673
C -24.06 -9.16 -10.25 -0.1568
O -22.85 -11.02 -9.45 -0.5834
H -21.12 -9.44 -8.41 0.3185
H -22.35 -8.24 -8.30 0.0900
H -21.34 -8.37 -9.81 0.3472
H -23.91 -8.13 -10.57 -0.0015
H -24.90 -9.06 -9.54 -0.1367
~~~
[End of the calculated molecules]
Girlfriend, the truth is the same today as it was thousands of years ago when Hagar ran to the wilderness, God sees. God cares. God will bless us, but we have to keep working where we are and trust the rest to Him.
On this faith journey with you!